'Four out of 10 new immigrants to Israel consider returning to country of origin'
┌──
The following is a computed powder X-ray diffraction pattern of Ti3NbSe8. It was derived from the GGA-PBE geometry in Alexandria, using Cu Kα, 1.54184 Å.
Peak positions follow from Bragg's law for the DFT cell and can differ from measured ones.

Main lines, by angle (15° ≤ 2θ ≤ 90°):
d (Å)  I_rel  h k l
3.443  199  0 0 2
2.928  139  4 0 -2
2.917  280  2 2 0
2.630  1000  2 2 -2
2.609  494  4 0 0
1.980  198  4 0 -4
1.964  397  2 2 2
1.758  443  0 4 0
1.458  157  4 4 0
1.125  132  2 6 -2

Cell and atoms:
```
data_Ti3NbSe8
_chemical_formula_sum 'Ti6 Nb2 Se16'
_cell_length_a 12.1719
_cell_length_b 7.0357
_cell_length_c 8.0314
_cell_angle_alpha 90.00
_cell_angle_beta 120.97
_cell_angle_gamma 90.00
_symmetry_space_group_name_H-M 'C 1 2/m 1'
_symmetry_Int_Tables_number 12
loop_
_symmetry_equiv_pos_as_xyz
'x,y,z'
'-x,-y,-z'
'-x,y,-z'
'x,-y,z'
'x+1/2,y+1/2,z'
'-x+1/2,-y+1/2,-z'
'-x+1/2,y+1/2,-z'
'x+1/2,-y+1/2,z'
loop_
_atom_site_label
_atom_site_type_symbol
_atom_site_fract_x
_atom_site_fract_y
_atom_site_fract_z
_atom_site_occupancy
Ti1 Ti 0.0000 0.0000 0.0000 1
Ti2 Ti 0.2500 0.2500 0.0000 1
Nb1 Nb 0.0000 0.5000 0.0000 1
Se1 Se 0.0059 0.2462 0.7679 1
Se2 Se 0.2438 0.0000 0.2272 1
Se3 Se 0.2479 0.5000 0.2321 1
```

---

The following is a computed powder X-ray diffraction pattern of HfMg2H6. It was derived from the GGA-PBE geometry in Alexandria, using Cu Kα, 1.54184 Å.
Peak positions follow from Bragg's law for the DFT cell and can differ from measured ones.

Main lines, by angle (15° ≤ 2θ ≤ 90°):
d (Å)  I_rel  h k l
4.165  1000  1 1 1
3.607  278  2 0 0
2.551  706  2 2 0
2.175  551  3 1 1
1.804  135  4 0 0
1.655  239  3 3 1
1.613  115  4 2 0
1.473  260  4 2 2
1.388  176  3 3 3
1.219  174  5 3 1

Cell and atoms:
```
data_HfMg2H6
_chemical_formula_sum 'Hf4 Mg8 H24'
_cell_length_a 7.2140
_cell_length_b 7.2140
_cell_length_c 7.2140
_cell_angle_alpha 90.00
_cell_angle_beta 90.00
_cell_angle_gamma 90.00
_symmetry_space_group_name_H-M 'F m -3 m'
_symmetry_Int_Tables_number 225
_symmetry_space_group_name_Hall '-F 4 2 3'
loop_
_atom_site_label
_atom_site_type_symbol
_atom_site_fract_x
_atom_site_fract_y
_atom_site_fract_z
_atom_site_occupancy
Hf1 Hf 0.0000 0.0000 0.0000 1
Mg1 Mg 0.2500 0.2500 0.2500 1
H1 H 0.0000 0.0000 0.2677 1
```

~~~~~

The following is a calculated powder diffraction line list of Rb2BaSc3F12. It was derived from a crystal structure in Alexandria, relaxed with PBE, using Cu Kα.
Kinematic intensities with the Lorentz-polarization factor, no thermal factor.

Largest 12 diffraction maxima, low angle first, 15° ≤ 2θ ≤ 90°:
22.8 deg, 3.900 Å, intensity 33; 26.8 deg, 3.323 Å, intensity 19; 27.0 deg, 3.303 Å, intensity 100; 27.3 deg, 3.263 Å, intensity 31; 28.1 deg, 3.175 Å, intensity 26; 35.9 deg, 2.503 Å, intensity 30; 36.5 deg, 2.462 Å, intensity 16; 42.7 deg, 2.117 Å, intensity 34; 42.9 deg, 2.106 Å, intensity 18; 46.6 deg, 1.950 Å, intensity 43; 47.4 deg, 1.917 Å, intensity 20; 65.0 deg, 1.434 Å, intensity 15

Structure:
```
data_Rb2BaSc3F12
└──
Six out of 10 new immigrants, or olim, polled responded that the primary barrier to employment in Israel is a lack of knowledge regarding the Israeli job market.
By SAM SOKOLSchoolchildren and Olim 758(photo credit: KKL-JNF)
Around 40 percent of recent immigrants to Israel consider returning to their countries of origin, according to a study carried out by Gvahim, a nongovernmental organization that works for the integration of immigrant academics. The NGO surveyed 300 new arrivals, 59% of from the United States and France.Six out of 10 new immigrants, or olim, polled responded that the primary barrier to employment in Israel is a lack of knowledge regarding the Israeli job market, with an additional 28% citing language difficulties.An overwhelming majority of 88% said having good personal connections is the primary factor involved in obtaining a job in the country while only 24% said that this is the case abroad.A quarter of those polled stated that the most important move in integrating into the local job market is involvement in government sponsored training programs. Some 22% said there needs to be “a change of attitude by employers regarding hiring olim,” while one in five called for a provision of incentives for hiring immigrants.“The survey’s findings indicate that the olim population faces specific difficulties in their integration into the Israeli job market,” said Gvahim CEO Gali Shahar. “In view of the recent waves of anti-Semitism in Europe, the task of finding a livelihood for the thousands of olim expected to arrive in Israel becomes a national challenge, which requires the participation of all the bodies involved, government ministries, the business sector and employers from other sectors.”The government is working on guidelines for easing the transition for accredited professionals.Last week the cabinet approved a NIS 180 million aliya plan for France, Belgium and Ukraine and within the next month, the Economy Ministry is expected to complete an inquiry into recognizing the French BTS higher technicians’ degree.Speaking with The Jerusalem Post last week, Dr. Dov Maimon, a French expert who authored the proposal of the Jewish People Policy Institute in Jerusalem, said that the government plan lacked such elements as tax incentives for companies that relocate as well as provisions for business incubators and temporary work permits for physicians and other professionals.In a statement on Sunday, JPPI president Avinoam Bar-Yosef called the initiative a “positive step in the right direction,” but said that it “takes into account less than one-third of those eligible to make aliya from Western Europe,” including 120,000 French and Belgian Jews who he described as “strong candidates for aliya.”“The cabinet decision does not take into account JPPI’s recommendation to establish a special administrative unit within the Prime Minister’s Office to oversee and coordinate efforts among the various government agencies involved such a process.
[Misplaced calculated crystals]
[1]
Starting from a crystal structure in Alexandria, relaxed with GGA-PBE, the powder X-ray diffraction pattern of Er3Ga6Au5 was computed for Cu Ka.
Kinematic intensities with the Lorentz-polarization factor, no thermal factor.

Structural model:
```
Er3Ga6Au5
1.0
4.336 0.000 0.000
0.000 12.819 0.000
0.000 0.000 9.746
Er Ga Au
6 12 10
direct
0.250 0.050 0.248
0.250 0.450 0.248
0.250 0.750 0.248
0.750 0.250 0.752
0.750 0.550 0.752
0.750 0.950 0.752
0.250 0.083 0.886
0.250 0.250 0.058
0.250 0.250 0.439
0.250 0.417 0.886
0.250 0.599 0.528
0.250 0.901 0.528
0.750 0.099 0.472
0.750 0.401 0.472
0.750 0.583 0.114
0.750 0.750 0.561
0.750 0.750 0.942
0.750 0.917 0.114
0.250 0.100 0.625
0.250 0.400 0.625
0.250 0.615 0.974
0.250 0.750 0.730
0.250 0.885 0.974
0.750 0.115 0.026
0.750 0.250 0.270
0.750 0.385 0.026
0.750 0.600 0.375
0.750 0.900 0.375
```

Principal peaks in the range 2θ from 10° to 90°, low angle first:
- 2θ = 29.3°, I = 158
- 2θ = 33.5°, I = 260
- 2θ = 34.5°, I = 245
- 2θ = 34.7°, I = 1000
- 2θ = 36.0°, I = 142
- 2θ = 37.3°, I = 211
- 2θ = 41.7°, I = 382
- 2θ = 42.3°, I = 179
- 2θ = 43.2°, I = 241
- 2θ = 54.4°, I = 161
- 2θ = 60.9°, I = 137
- 2θ = 67.5°, I = 210

[2]
Starting from a crystal structure in Alexandria, relaxed with GGA-PBE, the powder X-ray diffraction pattern of ErGa2Au3 was computed for Cu Ka.
Kinematic intensities with the Lorentz-polarization factor, no thermal factor.

Structural model:
```
ErGa2Au3
1.0
-2.201 3.876 6.921
2.201 -3.876 6.921
2.201 3.876 -6.921
Er Ga Au
2 4 6
direct
0.137 0.137 0.000
0.863 0.863 0.000
0.161 0.500 0.661
0.322 0.822 0.500
0.678 0.178 0.500
0.839 0.500 0.339
0.109 0.322 0.788
0.324 0.000 0.324
0.466 0.678 0.788
0.534 0.322 0.212
0.676 0.000 0.676
0.891 0.678 0.212
```

Principal peaks in the range 2θ from 10° to 90°, low angle first:
- 2θ = 22.9°, I = 133
- 2θ = 26.6°, I = 148
- 2θ = 28.0°, I = 210
- 2θ = 31.4°, I = 152
- 2θ = 34.9°, I = 224
- 2θ = 36.5°, I = 1000
- 2θ = 39.0°, I = 299
- 2θ = 41.0°, I = 360
- 2θ = 42.6°, I = 314
- 2θ = 57.9°, I = 190
- 2θ = 68.7°, I = 202
- 2θ = 71.7°, I = 142


Diffraction record for UZn20Ir2. The powder XRD pattern is theoretical, not measured: it uses a structure optimized by DFT (GGA-PBE) and Cu Kα, 1.54184 Å.

Structure:
Unit cell a=14.285 b=14.285 c=14.285 alpha=90.00 beta=90.00 gamma=90.00
Space group Fd-3m (No. 227, origin choice 2)
One atom of each set of equivalent atoms:
1 U 0.125 0.125 0.125 (multiplicity 8)
2 Zn 0.000 0.000 0.000 (multiplicity 16)
3 Zn 0.014 0.375 0.875 (multiplicity 48)
4 Zn 0.061 0.061 0.322 (multiplicity 96)
5 Ir 0.000 0.000 0.500 (multiplicity 16)

Peak list (10 most intense, 10° ≤ 2θ ≤ 80°, in order of falling intensity)
- 2.153 Å, 41.95 deg, I = 100
- 2.178 Å, 41.45 deg, I = 89
- 4.307 Å, 20.62 deg, I = 59
- 2.415 Å, 37.24 deg, I = 47
- 2.259 Å, 39.92 deg, I = 46
- 1.263 Å, 75.26 deg, I = 45
- 2.525 Å, 35.55 deg, I = 44
- 1.375 Å, 68.23 deg, I = 27
- 1.683 Å, 54.51 deg, I = 23
- 1.212 Å, 79.03 deg, I = 23
Furthermore, the plan does not mention JPPI’s recommendation to encourage and assist in transferring Jewish-French owned business and investments to Israel, [and] to create appropriate places of employment for the French-speaking new immigrants,” he said.In response to the Gvahim poll, Avi Zana, who heads the French immigration promotion organization Ami Israel, told the Post that just because a high percentage of immigrants think about emigration is not an indicator of a high rate of return.Citing statistics that 75% of French Jews have thought about emigrating while the actual number that leaves is much lower, Zana said that 40% of new arrivals considering leaving “doesn’t mean they are going to come back.”Economic integration is easier for French Jews than Americans, because many find work telecommuting or even flying back-and-forth between the two countries, he added.“As increasing numbers of Jews leave Europe, we have a unique opportunity to draw unprecedented aliya from Western countries to Israel. In order to do so, however, we must demonstrate that we are serious about helping new immigrants build their lives here,” Jewish Agency spokesman Avi Mayer commented. “We welcome the government’s most recent steps to ease new immigrants’ integration into the Israeli workforce.At the same time, we call for the development of a comprehensive national aliya strategy in order to ensure that Israel remains the No. 1 choice for Jewish emigrants from Europe and around the world.”